Contents =
____________
[1]
A relaxed structure of LaFeP2. Source: the Alexandria database, functional PBEsol.

Energy relative to the elements in eV per atom: -0.733
Offset from the most stable computed form in eV/f.u.: 0.352

Unit cell a=4.1950 b=4.1431 c=4.3546 alpha=90.00 beta=90.26 gamma=90.00
With the nearest neighbours (Å) after each atom.
Positions (direct):
1 La 0.0000 0.0000 0.0000  8 P 2.92-3.15, 2 Fe 3.21
2 Fe 0.6600 0.5000 0.4556  4 P 2.07-2.21
3 P 0.1531 0.5000 0.4912  2 Fe 2.07-2.13
4 P 0.4919 0.0000 0.5291  2 Fe 2.21

---

[2]
A relaxed structure of K2CaZn. Source: the Alexandria database, functional PBEsol.

Energy relative to the elements in eV per atom: 0.081

Unit cell a=4.2955 b=4.1664 c=10.3400 alpha=90.00 beta=101.82 gamma=90.00
With the nearest neighbours (Å) after each atom.
Positions (direct):
1 K 0.0000 0.0000 0.0000  2 Zn 3.49
2 K 0.3140 0.5000 0.6316  1 Zn 3.59
3 Ca 0.6698 0.0000 0.3390  4 Zn 3.06
4 Zn 0.1387 0.5000 0.2765  4 Ca 3.06

---

[3]
A relaxed structure of CaZrSeN2. Source: the Alexandria database, functional PBEsol.

Formation energy from raw total energies in eV per atom: 0.81

Unit cell a=4.0881 b=4.0881 c=5.1768 alpha=90.00 beta=90.00 gamma=90.00
With the nearest neighbours (Å) after each atom.
Positions (direct):
1 Ca 0.0000 0.0000 0.0000  4 N 2.04
2 Zr 0.5000 0.5000 0.5000  4 Se 2.89
3 Se 0.0000 0.0000 0.5000  2 Ca 2.59, 4 Zr 2.89
4 N 0.0000 0.5000 0.0000  2 Ca 2.04
5 N 0.5000 0.0000 0.0000  2 Ca 2.04

---

[4]
A relaxed structure of Cr2CuPt. Source: the Alexandria database, functional PBEsol.

Energy relative to the elements in eV per atom: 0.066

Unit cell a=2.9473 b=2.9473 c=5.7512 alpha=90.00 beta=90.00 gamma=90.00
With the nearest neighbours (Å) after each atom.
Positions (direct):
1 Cr 0.0000 0.0000 0.0000  4 Cr 2.40, 1 Cu 2.59, 4 Pt 2.65
2 Cr 0.5000 0.5000 0.2071  4 Cr 2.40, 4 Cu 2.51
3 Cu 0.0000 0.0000 0.4500  5 Cr 2.51-2.59, 4 Pt 2.58
4 Pt 0.5000 0.5000 0.7141  4 Cu 2.58, 5 Cr 2.65-2.84

---

[5]
A relaxed structure of AgP2Se. Source: the Alexandria database, functional PBEsol.

Formation energy from raw total energies in eV per atom: 0.16

Unit cell a=8.6685 b=8.6685 c=8.6685 alpha=21.23 beta=21.23 gamma=21.23
With the nearest neighbours (Å) after each atom.
Positions (direct):
1 Ag 0.0000 0.0000 0.0000  3 Se 2.72, 3 P 2.77
2 P 0.2521 0.2521 0.2521  3 P 2.25
3 P 0.5348 0.5348 0.5348  3 P 2.25
4 Se 0.7456 0.7456 0.7456  3 Ag 2.72

---

[6]
A relaxed structure of CoSi2Au. Source: the Alexandria database, functional PBEsol.

Formation energy from raw total energies in eV per atom: -0.11

Unit cell a=4.0881 b=4.0881 c=4.7942 alpha=99.17 beta=99.17 gamma=42.78
With the nearest neighbours (Å) after each atom.
Positions (direct):
1 Co 0.0000 0.0000 0.0000  6 Si 2.38-2.41
2 Si 0.2632 0.2632 0.7960  3 Co 2.38-2.41, 1 Au 2.48, 2 Si 2.49
3 Si 0.7368 0.7368 0.2040  3 Co 2.38-2.41, 1 Au 2.48, 2 Si 2.49
4 Au 0.5000 0.5000 0.5000  6 Si 2.48-2.70

---

[7]
A relaxed structure of NaMgZr3. Source: the Alexandria database, functional PBEsol.

Energy relative to the elements in eV per atom: 1.373
Offset from the most stable computed form in eV/f.u.: 0.427

Unit cell a=4.9904 b=4.9904 c=4.9904 alpha=90.00 beta=90.00 gamma=90.00
With the nearest neighbours (Å) after each atom.
Positions (direct):
1 Na 0.0000 0.0000 0.0000  6 Zr 2.50
2 Mg 0.5000 0.5000 0.5000  12 Zr 3.53
3 Zr 0.0000 0.0000 0.5000  2 Na 2.50
4 Zr 0.0000 0.5000 0.0000  2 Na 2.50
5 Zr 0.5000 0.0000 0.0000  2 Na 2.50

---

[8]
A relaxed structure of CaYFe3. Source: the Alexandria database, functional PBEsol.

Energy relative to the elements in eV per atom: 1.460

Unit cell a=4.5758 b=4.5758 c=4.5758 alpha=90.00 beta=90.00 gamma=90.00
With the nearest neighbours (Å) after each atom.
Positions (direct):
1 Ca 0.0000 0.0000 0.0000  6 Fe 2.29
2 Y 0.5000 0.5000 0.5000  12 Fe 3.24
3 Fe 0.0000 0.0000 0.5000  2 Ca 2.29
4 Fe 0.0000 0.5000 0.0000  2 Ca 2.29
5 Fe 0.5000 0.0000 0.0000  2 Ca 2.29

---

[9]
____________

Assignment =
It remains to search the material further above for the word "Unit" and restate each line that has it.

Here it is =
Unit cell a=4.1950 b=4.1431 c=4.3546 alpha=90.00 beta=90.26 gamma=90.00
Unit cell a=4.2955 b=4.1664 c=10.3400 alpha=90.00 beta=101.82 gamma=90.00
Unit cell a=4.0881 b=4.0881 c=5.1768 alpha=90.00 beta=90.00 gamma=90.00
Unit cell a=2.9473 b=2.9473 c=5.7512 alpha=90.00 beta=90.00 gamma=90.00
Unit cell a=8.6685 b=8.6685 c=8.6685 alpha=21.23 beta=21.23 gamma=21.23
Unit cell a=4.0881 b=4.0881 c=4.7942 alpha=99.17 beta=99.17 gamma=42.78
Unit cell a=4.9904 b=4.9904 c=4.9904 alpha=90.00 beta=90.00 gamma=90.00
Unit cell a=4.5758 b=4.5758 c=4.5758 alpha=90.00 beta=90.00 gamma=90.00